## Listing
┌──
Starting from a GGA-PBE-relaxed structure, the powder diffraction line list of ThSc2B12Rh12 was simulated for Cu Kα.
Lines closer than 0.1° are merged.

Peak list (6 most intense, 15 to 90 degrees two-theta, by intensity)
h k l, 2theta, intensity
2 0 3, 35.8, 100
2 1 3, 39.7, 82
1 0 9, 40.1, 66
1 0 6, 29.3, 59
2 1 6, 45.2, 43
2 2 12, 71.2, 27

Structural model:
```
data_ThSc2B12Rh12
_chemical_formula_sum 'Th2 Sc4 B24 Rh24'
_cell_length_a 5.331
_cell_length_b 5.331
_cell_length_c 22.338
_cell_angle_alpha 90.00
_cell_angle_beta 90.00
_cell_angle_gamma 90.00
_space_group_name_H-M_alt 'P -4 m 2'
_space_group_IT_number 115
_space_group_name_Hall 'P -4 -2'
loop_
_atom_site_label
_atom_site_type_symbol
_atom_site_fract_x
_atom_site_fract_y
_atom_site_fract_z
Th1 Th 0.000 0.000 0.167
Sc1 Sc 0.000 0.000 0.500
Sc2 Sc 0.500 0.500 0.000
Sc3 Sc 0.500 0.500 0.334
B1 B 0.000 0.330 0.616
B2 B 0.000 0.331 0.286
B3 B 0.000 0.331 0.951
B4 B 0.167 0.500 0.117
B5 B 0.167 0.500 0.783
B6 B 0.169 0.500 0.451
Rh1 Rh 0.000 0.249 0.384
Rh2 Rh 0.000 0.251 0.713
Rh3 Rh 0.000 0.252 0.047
Rh4 Rh 0.252 0.500 0.219
Rh5 Rh 0.252 0.500 0.549
Rh6 Rh 0.252 0.500 0.884
```


Diffraction record for V2Ni5Ir2. The X-ray powder pattern is calculated, not measured: it uses the GGA-PBE geometry in Alexandria and Cu Kα (λ = 1.5418 Å).
Kinematic intensities with the Lorentz-polarization factor, no thermal factor.

Principal peaks in the range 2θ = 10–90°, in order of falling intensity:
| 2θ/deg | d/Å | I (rel.) |
| --- | --- | --- |
| 42.75 | 2.115 | 100 |
| 42.93 | 2.107 | 33 |
| 49.49 | 1.842 | 25 |
| 49.72 | 1.834 | 21 |
| 50.27 | 1.815 | 20 |
| 22.95 | 3.875 | 19 |
| 26.95 | 3.308 | 12 |
| 73.18 | 1.293 | 12 |
| 26.84 | 3.322 | 12 |
| 24.70 | 3.605 | 8 |

Cell and atoms:
```
V2Ni5Ir2
1.0
4.4849 0.0000 0.0000
0.7043 4.4317 0.0000
0.6876 1.3513 5.5503
V Ni Ir
2 5 2
Cartesian
0.7617 0.6268 1.4418
5.1151 5.1562 4.1085
0.6959 2.8915 2.7751
1.4805 2.7533 0.3145
2.8649 4.0103 3.3844
3.0119 1.7727 2.1659
4.3963 3.0297 5.2357
2.1212 1.8697 4.5656
3.7556 3.9132 0.9846
```


Diffraction record for V4Ni4Ir. The X-ray powder pattern is calculated, not measured: it uses the GGA-PBE geometry in Alexandria and Cu Kα (λ = 1.5418 Å).
Kinematic intensities with the Lorentz-polarization factor, no thermal factor.

Principal peaks in the range 2θ = 10–90°, in order of falling intensity:
| 2θ/deg | d/Å | I (rel.) |
| --- | --- | --- |
| 40.10 | 2.249 | 100 |
| 47.13 | 1.928 | 45 |
| 50.46 | 1.808 | 22 |
| 20.64 | 4.303 | 19 |
| 35.73 | 2.513 | 19 |
| 31.98 | 2.798 | 17 |
| 40.48 | 2.228 | 17 |
| 19.92 | 4.456 | 16 |
| 24.16 | 3.683 | 16 |
| 41.99 | 2.152 | 15 |

Cell and atoms:
```
V4Ni4Ir
1.0
5.2092 0.0000 0.0000
0.0000 5.2092 0.0000
0.0000 0.0000 8.6068
V Ni Ir
8 8 2
Cartesian
0.0174 3.9069 0.1551
1.3023 2.6220 4.1484
1.3023 5.1917 4.1484
2.5871 3.9069 0.1551
2.6220 1.3023 8.4518
3.9069 0.0174 4.4585
3.9069 2.5871 4.4585
5.1917 1.3023 8.4518
0.1735 1.3023 5.9435
1.3023 0.1735 1.6400
1.3023 2.4310 1.6400
2.4310 1.3023 5.9435
2.7781 3.9069 2.6634
3.9069 2.7781 6.9668
3.9069 5.0356 6.9668
5.0356 3.9069 2.6634
1.3023 3.9069 6.4551
3.9069 1.3023 2.1517
```


Diffraction record for Ni4Ir2W. The X-ray powder pattern is calculated, not measured: it uses the GGA-PBE geometry in Alexandria and Cu Kα (λ = 1.5418 Å).
Kinematic intensities with the Lorentz-polarization factor, no thermal factor.

Principal peaks in the range 2θ = 10–90°, in order of falling intensity:
| 2θ/deg | d/Å | I (rel.) |
| --- | --- | --- |
| 38.27 | 2.352 | 100 |
| 48.44 | 1.879 | 69 |
| 40.84 | 2.210 | 48 |
| 42.85 | 2.110 | 43 |
| 20.09 | 4.420 | 41 |
| 37.44 | 2.402 | 30 |
| 68.10 | 1.377 | 19 |
| 75.44 | 1.260 | 18 |
| 48.14 | 1.890 | 18 |
| 56.59 | 1.626 | 17 |

Cell and atoms:
```
Ni4Ir2W
1.0
4.2485 -2.4020 0.0000
4.2485 2.4020 0.0000
0.0000 0.0000 8.8391
Ni Ir W
8 4 2
Cartesian
2.1243 1.1445 6.6293
4.2485 2.2860 6.8676
4.2485 0.1159 2.4480
2.1243 -1.1445 2.2098
6.3728 1.1445 6.6293
4.2485 -0.1159 6.3910
└──

## Job
It remains to say how many lines of the entries further up hold the word "in", as a bare number.

## Done
6